Sub-theme 44: Rethinking Management and Management History [merged with sub-theme 55]

********
Entry 1:
NaGaCuRu2: relaxed, PBE.

Lattice parameters (Å, degrees): 4.6364 4.6364 4.8899 90.00 90.00 90.00
Positions (direct):
Na 0.0000 0.0000 0.0000
Ga 0.0000 0.0000 0.5000
Cu 0.5000 0.5000 0.0000
Ru 0.0000 0.5000 0.5000
Ru 0.5000 0.0000 0.5000

Output
space group: P4/mmm
V: 21.02 A^3/atom
total energy: -4.159 eV/atom
formation energy from the elements: 6.2 eV/f.u.

Entry 2:
CsSnHg2: relaxed, PBE.

Lattice parameters (Å, degrees): 7.2798 7.2798 7.2798 41.75 41.75 41.75
Positions (direct):
Cs 0.0000 0.0000 0.0000
Sn 0.5000 0.5000 0.5000
Hg 0.2048 0.2048 0.2048
Hg 0.7952 0.7952 0.7952

Output
space group: R-3m
V: 38.66 A^3/atom
total energy: -1.529 eV/atom
formation energy from the elements: -0.7 eV/f.u.

Entry 3:
AlPd6Au: relaxed, PBE.

Lattice parameters (Å, degrees): 3.9693 3.9693 7.8537 90.00 90.00 90.00
Positions (direct):
Al 0.0000 0.0000 0.0000
Pd 0.0000 0.5000 0.2382
Pd 0.0000 0.5000 0.7618
Pd 0.5000 0.0000 0.2382
Pd 0.5000 0.0000 0.7618
Pd 0.5000 0.5000 0.0000
Pd 0.5000 0.5000 0.5000
Au 0.0000 0.0000 0.5000

Output
space group: P4/mmm
V: 15.47 A^3/atom
total energy: -5.096 eV/atom
formation energy from the elements: -2.6 eV/f.u.

Entry 4:
LiTl2AgCl4: relaxed, PBE.

Lattice parameters (Å, degrees): 8.4008 8.4008 8.2720 119.35 119.35 90.22
Positions (direct):
Li 0.0000 0.0000 0.0000
Li 0.0000 0.0000 0.5000
Tl 0.0000 0.5000 0.0000
Tl 0.5000 0.0000 0.5000
Tl 0.5000 0.5000 0.0000
Tl 0.5000 0.5000 0.5000
Ag 0.0000 0.5000 0.5000
Ag 0.5000 0.0000 0.0000
Cl 0.1995 0.2239 0.4632
Cl 0.2239 0.1995 0.9632
Cl 0.2281 0.7701 0.5275
Cl 0.2299 0.7719 0.9725
Cl 0.7701 0.2281 0.0275
Cl 0.7719 0.2299 0.4725
Cl 0.7761 0.8005 0.0368
Cl 0.8005 0.7761 0.5368

Output
space group: C2/c
ΔE_f (raw): -1.01 eV per atom
V: 26.25 A^3/atom
total energy: -3.125 eV/atom

Entry 5:
Si2RhSe: relaxed, PBE.

Lattice parameters (Å, degrees): 5.9039 5.9039 5.9039 152.23 135.92 52.90
Positions (direct):
Si 0.2024 0.2024 0.0000
Si 0.7976 0.7976 0.0000
Rh 0.0000 0.5000 0.5000
Se 0.5000 0.0000 0.5000

Output
space group: Immm
ΔE_f (raw): 0.14 eV per atom
V: 16.59 A^3/atom
total energy: -5.284 eV/atom

Entry 6:
TaTcBrO2: relaxed, PBE.

Lattice parameters (Å, degrees): 3.8053 3.8053 5.4398 90.00 90.00 90.00
Positions (direct):
Ta 0.0000 0.0000 0.0000
Tc 0.0000 0.0000 0.5000
Br 0.5000 0.5000 0.0000
O 0.0000 0.5000 0.5000
O 0.5000 0.0000 0.5000

Output
space group: P4/mmm
ΔE_f (raw): -0.36 eV per atom
V: 15.75 A^3/atom
total energy: -7.122 eV/atom

Entry 7:
Sm4Mg5Cu2: relaxed, PBE.

Lattice parameters (Å, degrees): 8.0147 3.5427 10.0038 90.00 93.15 90.00
Positions (direct):
Sm 0.1587 0.0000 0.3589
Sm 0.2297 0.0000 0.9503
Sm 0.7703 0.0000 0.0497
Sm 0.8413 0.0000 0.6411
Mg 0.1913 0.5000 0.6593
Mg 0.4445 0.5000 0.1899
Mg 0.5000 0.5000 0.5000
Mg 0.5555 0.5000 0.8101
Mg 0.8087 0.5000 0.3407
Cu 0.0568 0.5000 0.1313
Cu 0.9432 0.5000 0.8687

Output
space group: P2/m
V: 25.78 A^3/atom
total energy: -3.275 eV/atom
formation energy from the elements: -1.0 eV/f.u.

Entry 8:
Cs2KTe2: relaxed, PBE.
********

Behlül Üsdiken
Sabanci University, Turkey
Michael Rowlinson
University of Exeter, United Kingdom
Matthias Kipping
Schulich School of Business, York University, Canada

Call for Papers

Attached: materials data.
┌──
## CdAg3Ge (PBE)

Data for CdAg3Ge after structural relaxation.

```
data_CdAg3Ge
_symmetry_space_group_name_H-M 'P m -3 m'
_symmetry_Int_Tables_number 221
_symmetry_space_group_name_Hall '-P 4 2 3'
_cell_length_a 5.115
_cell_length_b 5.115
_cell_length_c 5.115
_cell_angle_alpha 90.00
_cell_angle_beta 90.00
_cell_angle_gamma 90.00
loop_
_atom_site_label
_atom_site_fract_x
_atom_site_fract_y
_atom_site_fract_z
Cd1 0.000 0.000 0.000
Ag1 0.000 0.000 0.500
Ge1 0.500 0.500 0.500
```

Distance to the lowest polymorph of the same formula in meV/atom: 424
Mass density in g cm⁻³: 6.312
Magnetic moment in μB per cell: 0.00

## MgTeCl6 (PBE)

Data for MgTeCl6 after structural relaxation.

```
data_MgTeCl6
_symmetry_space_group_name_H-M 'C 1 2/m 1'
_symmetry_Int_Tables_number 12
_cell_length_a 6.373
_cell_length_b 12.852
_cell_length_c 6.373
_cell_angle_alpha 90.00
_cell_angle_beta 108.55
_cell_angle_gamma 90.00
loop_
_symmetry_equiv_pos_as_xyz
'x,y,z'
'-x,-y,-z'
'-x,y,-z'
'x,-y,z'
'x+1/2,y+1/2,z'
'-x+1/2,-y+1/2,-z'
'-x+1/2,y+1/2,-z'
'x+1/2,-y+1/2,z'
loop_
_atom_site_label
_atom_site_fract_x
_atom_site_fract_y
_atom_site_fract_z
Mg1 0.000 0.000 0.000
Te1 0.000 0.500 0.500
Cl1 0.243 0.135 0.241
Cl2 0.246 0.500 0.256
```

Raw formation energy in eV/atom: -0.998
Distance to the lowest polymorph of the same formula in meV/atom: 0
Mass density in g cm⁻³: 2.447
Magnetic moment in μB per cell: 0.00

## Sm2TmZn2Ga2 (PBE)

Data for Sm2TmZn2Ga2 after structural relaxation.

```
data_Sm2TmZn2Ga2
_symmetry_space_group_name_H-M 'R -3 m'
_symmetry_Int_Tables_number 166
_symmetry_space_group_name_Hall '-R 3 2"'
_cell_length_a 4.4305
_cell_length_b 4.4305
_cell_length_c 28.2146
_cell_angle_alpha 90.00
_cell_angle_beta 90.00
_cell_angle_gamma 120.00
loop_
_atom_site_label
_atom_site_fract_x
_atom_site_fract_y
_atom_site_fract_z
Sm1 0.0000 0.0000 0.1243
Tm1 0.0000 0.0000 0.0000
Zn1 0.0000 0.0000 0.3909
Ga1 0.0000 0.0000 0.2694
```

Mass density in g cm⁻³: 7.685
Magnetic moment in μB per cell: 0.00
Total energy in eV/atom: -3.615

## Sc6Al3Os (PBE)

Data for Sc6Al3Os after structural relaxation.

```
data_Sc6Al3Os
_symmetry_space_group_name_H-M 'P 1 21/m 1'
_symmetry_Int_Tables_number 11
_cell_length_a 8.304
_cell_length_b 4.806
_cell_length_c 10.537
_cell_angle_alpha 90.00
_cell_angle_beta 109.20
_cell_angle_gamma 90.00
loop_
_symmetry_equiv_pos_as_xyz
'x,y,z'
'-x,-y,-z'
'-x,y+1/2,-z'
'x,-y+1/2,z'
loop_
_atom_site_label
_atom_site_fract_x
_atom_site_fract_y
_atom_site_fract_z
Sc1 0.037 0.250 0.416
Sc2 0.173 0.750 0.167
Sc3 0.270 0.250 0.007
Sc4 0.352 0.750 0.816
Sc5 0.364 0.250 0.335
Sc6 0.400 0.250 0.635
Al1 0.029 0.750 0.878
Al2 0.107 0.250 0.720
Al3 0.270 0.750 0.472
Os1 0.458 0.750 0.095
```

Mass density in g cm⁻³: 4.523
Magnetic moment in μB per cell: 0.00
Total energy in eV/atom: -6.446

## Cs2AlTlSn (PBE)

Data for Cs2AlTlSn after structural relaxation.

```
data_Cs2AlTlSn
_symmetry_space_group_name_H-M 'P 4/m m m'
_symmetry_Int_Tables_number 123
└──
Here the entry continues.

The EGOS Colloquium in 2017 coincides with the 100th anniversary of Copenhagen Business School (CBS), which will be commemorated in part by the publication of a history of the Business School written by members of the Centre for Business History at CBS. This coincidence provides an opportunity to rethink both the role of history in business schools, as well as the history of business schools themselves, along with the part played by management and organization studies within that history.
Both business schools and organization studies have sought to legitimate themselves through history in relation to older disciplines in the university. Textbooks regularly claim Max Weber as a founder for the so-called “Classical School” of management and organization studies even though Weber himself could never have been an adherent of such a school because it was only invented, along with organization studies, long after he died (Cummings & Bridgman, 2011). When Harvard Business School was facing criticism in the 1930s for the banality of management research, one response from the Dean, Wallace B. Donham, was to hire a historian to study management and to use a donation from the retailer Gordon Selfridge to buy historical business documents from Italy relating to the Medici family during the Renaissance (O’Connor, 2012, p. 58).
History frames discussions about the purpose and future of business schools in general (e.g.: Khurana, 2007; Khurana & Spender, 2012; Locke & Spender, 2011), and of particular practices such as the use of case studies (Bridgman, Cummings, & McLoughlin, 2015). The history of business schools is therefore necessarily contested, for example with the association between management and slavery coming under increasing scrutiny (Cooke, 2003; Roediger & Esch, 2012; Ruef, 2008). This raises questions not only about the historiography of business schools but also about the role of history in debates about the future of business schools.
In the ongoing dialogue between business historians and organization theorists (Bucheli & Wadhwani, 2014; Rowlinson et al., 2014; Godfrey et al., 2016; Greenwood & Bernardi, 2014) there tends to be a division of labor whereby theory comes from organization studies and business historians explain how to use historical sources and methods. The challenge for rethinking history in organization studies is whether these roles can be combined or even reversed, as they have been occasionally in previous collaborations (e.g. Whipp & Clark, 1986).
We encourage submissions that rethink the history of business schools, especially if new insight is gained from using theoretical concepts from organization studies. We also welcome submissions that rethink the role of history in business schools in general and particularly in organization studies, either in relation to research or the curriculum.

**Inserted here: crystal structures:**
********
No. 1
VCd3Se after structural relaxation. Source: Alexandria via LeMat-Bulk, functional PBE-GGA.

a b c (Å): 5.308 5.308 5.308
angles (deg): 90.00 90.00 90.00
Fractional positions:
1 V 0.500 0.500 0.500
2 Se 0.000 0.000 0.000
3 Cd 0.000 0.500 0.000
4 Cd 0.000 0.000 0.500
5 Cd 0.500 0.000 0.000

Output
As for the total DFT energy (no corrections): -11.0 eV/cell. The formation energy (no corrections) is 0.87 eV per atom. As for the space-group type: No. 221. Its density of states at the Fermi level is 1.072 states/eV per atom.

=====

No. 2
Sc2Si5Pt3 after structural relaxation. Source: Alexandria via LeMat-Bulk, functional PBE-GGA.

a b c (Å): 4.144 6.669 11.746
angles (deg): 90.00 100.16 90.00
Fractional positions:
1 Sc 0.175 0.746 0.350
2 Pt 0.223 0.206 0.446
3 Sc 0.519 0.247 0.038
4 Sc 0.481 0.747 0.962
5 Pt 0.055 0.966 0.111
6 Si 0.711 0.007 0.422
7 Si 0.295 0.925 0.589
8 Si 0.396 0.389 0.793
9 Si 0.117 0.276 0.233
10 Si 0.953 0.086 0.905
11 Sc 0.825 0.246 0.650
12 Pt 0.394 0.016 0.788
13 Pt 0.777 0.706 0.554
14 Si 0.705 0.425 0.411
15 Si 0.289 0.507 0.578
16 Si 0.047 0.586 0.095
17 Pt 0.945 0.466 0.889
18 Si 0.604 0.889 0.207
19 Pt 0.606 0.516 0.212
20 Si 0.883 0.776 0.767

Output
As for the total DFT energy (no corrections): -132.5 eV/cell. The formation energy (no corrections) is -0.84 eV per atom. As for the space-group type: No. 36. Its density of states at the Fermi level is 0.204 states/eV per atom.

=====

formation energy (no corrections) of number 2 (Sc2Si5Pt3)? -0.84 eV per atom

=====

The highest formation energy (no corrections) belongs to which entry? VCd3Se

=====

What is the formula in the first record? VCd3Se

=====

Which value of total DFT energy (no corrections) does entry 1 give? -11.0 eV/cell
********
**The page goes on:**


  • Bridgman, T., Cummings, S., & McLoughlin, C. (2015): The Case Method as Invented Tradition: Revisiting Harvard's History to reorient management education. Paper presented at the Academy of Management Conference, Vancouver.
  • Bucheli, M., & Wadhwani, R.D. (eds.) (2014): Organizations in Time: History, Theory, Methods. New York: Oxford University Press.
  • Cooke, B. (2003): “The denial of slavery in management studies.” Journal of Management Studies, 40 (8), 1895–1918.
  • Cummings, S., & Bridgman, T. (2011): “The relevant past: Why the history of management should be critical of our future.” Academy of Management Learning & Education, 10 (1), 77–93.
  • Godfrey, P, Hassard, J., O’Connor, E., Rowlinson, M., & Ruef, M. (2016): “What is Organizational History? Towards a Creative Synthesis of History and Organization Studies.” Academy of Management Review, 41 (4), October.
  • Greenwood, A., & Bernardi, A. (2014): “Understanding the rift, the (still) uneasy bedfellows of history and organization studies.” Organization, 21 (6), 907–932.
  • Khurana, R. (2007): From Higher Aims to Hired Hands: The Social Transformation of American Business Schools and the Unfulfilled Promise of Management as a Profession. Princeton: Princeton University Press.
  • Khurana, R., & Spender, J.C. (2012): “Herbert A. Simon on What Ails Business Schools: More than ‘A Problem in Organizational Design’.” Journal of Management Studies, 49 (3), 619–639.
  • Locke, R.R., & Spender, J.C. (2011): Confronting Managerialism: How the Business Elite and Their Schools Threw Our Lives Out of Balance. London: Zed Books.
  • O’Connor, E.S. (2012): Creating New Knowledge in Management: Appropriating the Field’s Lost Foundations. Stanford, CA: Stanford Business Books.
  • Roediger, D.R., & Esch, E.D. (2012): The Production of Difference. Race and the Management of Labor in U.S. History. New York: Oxford University Press.
  • Rowlinson, M., Hassard, J., & Decker, S. (2014): “Research strategies for organizational history: A dialogue between historical theory and organization theory.” Academy of Management Review, 39 (3), 250–274.
  • Ruef, M. (2008): “Rakesh Khurana: From higher aims to hired hands: The social transformation of American business schools and the unfulfilled promise of management as a profession.” Administrative Science Quarterly, 53 (4), 745–752.
  • Whipp, R., & Clark, P. (1986): Innovation and the Auto Industry. London: Frances Pinter.
Behlül Üsdiken is Professor of Management and Organization at Sabanci University, Turkey. His work on business education and organizational research has appeared in various journals, including the ‘Journal of Management Studies’, as well as in edited collections.
Michael Rowlinson is Professor of Management & Organizational History in the University of Exeter Business School, UK. He has played an important part in the “historic turn” in organization studies. He was the editor for ‘Management & Organizational History’ (2008–2013) and is currently a Senior Editor for ‘Organization Studies’ as well as a co-editor for the Special Topic Forum of the ‘Academy of Management Review’ on “History and Organization Studies: Toward a Creative Synthesis”.
Matthias Kipping is Professor of Policy and Chair in Business History at the Schulich School of Business, York University, Canada. He has published many articles and co-edited two books on the management consulting business.